Wellesley College Russian Department
Wellesley College Russian Department
Wellesley College Russian Department
Famous writer and critic Vladimir Nabokov founded Wellesley College Russian Department in the 1940s. Since that time, the Department has dedicated itself to excellence in literary scholarship and undergraduate teaching. Welcome to our RU-vid channel! We hope you enjoy what you find here.
Imperial Overreach (October 12, 2023)
7 месяцев назад
Zingaresca Guitar Concert (October 4, 2023)
7 месяцев назад
Zolotoj Plyos Student Recital
Год назад
Tchaikovsky's Children's Album
4 года назад
Why Ukraine?
4 года назад
Treasury Of Russian Gypsy Romance
4 года назад
Russia NOW 2019
4 года назад
Student Recital with Zolotoj Plyos
5 лет назад
Leningrad at War: A City Speaks
5 лет назад
Russia NOW 2018
5 лет назад
Prostokvashino Play 2017
6 лет назад
@jenniesutton9341 19 дней назад
I'm sorry Duntsova and her following is not mentioed by either speaker. Actually her style, though seemingly modest, is low profile but not without strength.
@N3003Q 22 дня назад
Because Gorbachev wanted Pizza Hut.
@mns8732 23 дня назад
I thought this frontman for the CIA would be knowledgeable. My bad.
@BUENHECTOR Месяц назад
Excellent presentation of Gorbachov.
@nikhilgodbole4425 Месяц назад
If you go to NATO's 2021 communique, it's clearly written that NATO reinvigorates its decision in 2008 to add Ukraine to the alliance. So NATO membership is definitely one of the causes of the war
@rickbowers5901 Месяц назад
I stayed at the University Hotel across from the University adopting 4 children
@iramokar 2 месяца назад
And putin did it, then and now. It looks like their knowledge and understanding of this person and history is not full enough to see the whole picture of this war and putin manipulation. I check this only because her interview in Bloomberg as of 03.29.2024 has changed under new circumstances. As I'm Ukrainian, she is an intelligent woman with deep knowledge but not enough to teach and write a book that does not represent reality and truth.
@BruceMullen-iv8hx 2 месяца назад
Funny that no one has read Antony Sutton.
@merzdaniil 2 месяца назад
1:21:00 It is very cruel irony. The next day Navalny was killed in the prison... Прости нас, Алексей!
@johnmay7774 3 месяца назад
Putin should rightly face trial for treason for his manifold mutilations of the Russian constitution.....
@jamesdallas1493 3 месяца назад
Is China going the same way as the Soviet Union? Answer: yes
@craigsimmons6496 3 месяца назад
I leave @7:46, when this marxist "Professor" insults Ronald Reagan, one of our greatest Presidents
@milmex317th 3 месяца назад
Having lived in Germany 1985-1990 I beginning to Think the Russia won the cold war by playing the long game
@jontycrossick9569 3 месяца назад
Great talk and Q&As but the number one immediate reason for the break-up of the Soviet Union is missed. The state overly depended on the fear of state violence to keep the edifice in tact. And this is linked the first theory posited - that communism runs against human nature. It was Gorbachev's unwillingness to use violence which allowed the state to disintegrate.
@hankochai 3 месяца назад
Romald Reagan played a key role in the collapse of communism in Eastern Europe and the Soviet Union. Also, Gorbachev was no angel - he ordered the murderous repression of protesters in the Baltic states.
@ianlupardus4569 4 месяца назад
What a joke, next to no material analysis, and he calls himself a historian. Not to mention going along with the idea that the break up of the USSR in the 90s was relatively bloodless.. ig over 3 million deaths from shock therapy capitalism is bloodless. He’s ignorant at best and a revisionist at worst. It’s utterly repulsive to not push back on that point in particular, but overall this was a biography of Gorbachev not an analysis of the fall of the USSR.
@rpf100 4 месяца назад
There was never communism in the Soviet Union!
@luckyea7 4 месяца назад
The Union of Soviet Socialist Republics opened an era of a new type of development of culture and civilization, and its experience in crushing Nazism is invaluable today, in the context of a global conflict, the main front of which has been transferred to Ukraine, believes Professor of Philosophy at the Technical University of Crete Dimitrios Patelis, Candidate of Philosophy. "On December 30, 2022, all progressive humanity celebrates the centenary of the creation of the Union of Soviet Socialist Republics. The USSR, the fruit of the first early victorious revolution, opened the era of a revolutionary transition to a new type of development of culture and civilization: to a united humanity. This was the triumph of the revolutionary creativity of the oppressed, proven by the example of the USSR "that they can take their destiny into their own hands, emancipate society, begin unprecedented revolutionary transformations, overcoming antagonisms and exploitation, towards a society of solidarity and humanity," Patelis said. In his opinion, the triumphal march of the USSR is associated with the world-historical achievements of man: the fight against illiteracy, the establishment of a number of social benefits, free education, healthcare, medical care, proper rest, the rapid development of the economy, society, science, technology, sports, art and culture . “A titanic feat was the crushing of the anti-Comintern axis by the Soviet Red Army thanks to the self-denial and self-sacrifice of the entire people of the USSR, ensuring the world with nuclear parity, internationalist assistance to the world anti-imperialist movement, as well as primacy in space exploration. A clear example of internationalism is providing access to education in USSR universities to students from different capitalist countries, thanks to which I personally received an excellent education,” the professor noted. What did the Soviet government of the USSR give to the people? 1.The right to an eight-hour working day. For the first time in the world in the history of mankind. 2. The right to annual paid leave. For the first time in human history. 3. The impossibility of dismissing an employee on the initiative of the administration or the owner without the consent of the trade union and party organization. 4. The right to work, to the opportunity to earn a living by one’s own labor. Moreover, graduates of vocational educational institutions had the right to compulsory employment in the labor field with the provision of housing in the form of a dormitory or apartment. 5. The right to free general and vocational education. Moreover, both secondary vocational education and higher education. For the first time in the world. 6. The right to free use of preschool institutions: nurseries, kindergartens, pioneer camps. For the first time in the world. 7. The right to free medical care. For the first time in the world. 8. The right to free sanatorium and resort treatment. For the first time in the world. 9. The right to free housing. For the first time in the world 10. The right to protect the state from the arbitrariness of local bosses and officials. For the first time in the world. 11. The right to free travel to the place of work or study using an individual travel document paid for by the state. For the first time in the world. In addition, women had the right to a number of additional benefits: 1. The right to three years of maternity leave with job retention. (56 days - fully paid, 1.5 years - benefits, 3 years - without interruption of service and a ban on dismissal from the administration.). 2. The right to free foster care for a child for up to one year. 3. The right to a free dairy kitchen for newborns up to three years of age. 4. The right to free medical and sanatorium-resort treatment for any childhood diseases. There was nothing like this in any country in the world and there could not even be a trace of it. Some social benefits in foreign countries began to appear only after the Second World War as a result of a powerful labor movement caused by the existence on the planet of the Soviet state, the State of Workers and Peasants. Citizens of the USSR had much more rights than Americans or Germans! But those don’t have them today, and don’t expect them to. In addition, in the USSR cross-subsidization made payments for utility services symbolic. When setting prices for certain goods in the USSR, they were primarily based on their social significance. Therefore, meat and meat products, milk and dairy products, and many varieties of fish and fish products were sold below cost and at constant prices. Children's clothing and shoes, textbooks for schools and universities, toys, notebooks and other writing materials, medicines, cotton fabrics and many other goods were sold at a loss. State subsidies for these purposes amounted to tens of billions of rubles annually. The state partially covered its losses through high prices for jewelry, natural furs and other luxury goods, and alcoholic beverages. But the main source of subsidies is the profits of state-owned enterprises. By spending a significant portion of the profits of its enterprises on subsidies, the state covered its losses. Losses in favor of the consumer!
@saulgoodman7858 4 месяца назад
@JC-wi2jz 5 месяцев назад
Tries to be funny but is not!
@JC-wi2jz 5 месяцев назад
It collapsed because communism sucks
@teddywest4910 5 месяцев назад
Predicting the fall of the USSR: Alexandr Solzhenitsyn and Helene Carrere d'Encause. Very disappointed, Mr. Taubman ...
@ennediend2865 5 месяцев назад
Gorbie was not a killer , the reason why he lost...
@ennediend2865 5 месяцев назад
Prof. Taubman knows his subject👍 Thank you .
@timkunkel5431 5 месяцев назад
Wrong. He's a leftist ape, trying desperately to defend his failed philosophy.
@odellkercado211 6 месяцев назад
✅ 'Promosm'
@brucevilla 6 месяцев назад
Thanks for Uploading.
@Paulius-lb4ng 6 месяцев назад
Sure yea right. Gorbachev I’m sorry was a murderous thug who threatened the life of Baltic SSR Republic leaders and their families if they ever tried to break away. And the Soviet system financially collapsed from unsustainable free healthcare for too many people, the collapse beginning already by 1979, then the Soviet war in Afghanistan drove it into a ditch. Adding that the USSR secret police only spent 15% for international espionage, 85% waa spent on spying on their very own citizens. Today in Russia it’s even worse. Back then 1 in 650 were Kremlin informants while today it is 1 in ever 400.
@Salman-sc8gr 6 месяцев назад
Would be nice to know who financed the murderous Bolsheviks.
@felipearbustopotd 6 месяцев назад
Thank you for uploading and sharing.
@stan_hiz 7 месяцев назад
Give Putin Donbas and Crimea? Wow! So that in 10 years he could have the rest of Ukraine.
@luistoral1192 7 месяцев назад
That is why !!? the profecional studied is very important ; for countries for better.developen of Future!!! Thanks😅😅😅❤
@luistoral1192 7 месяцев назад
I know 4 person.haven studious I ?.best university of united States' in economics one is the best and two l only have local.studies.are the best?
@itzhakbentov6572 7 месяцев назад
I was watching RU1. When I saw Ludmilla Tourischeva crying, I knew it was over.
@herbert92x 7 месяцев назад
Just another college professor attempting to spin Gorby into something he was not. I keep having flashbacks to UC Irvine and my professors trying to explain that the collapse of Communism was not really a collapse. Yeah, right. What’s worse, as of October 2023, his asides about Ukraine have not aged well.
@pavellaptiev8398 7 месяцев назад
I reviewed many opinions on this subject. The most reasonable version is that soviet bureaucracy decided to divide and privatize state properties and integrate in western elites. So Eltsin, Kravchuk, Shushkevich were the frontmans of this process while Gorbachev was just the silly naive puppet. So the main cause of this tragic process was moral degradation of soviet elite.
@gregoryfilin8040 7 месяцев назад
What a good showing! Though being a Russian, the apologia and lack of Russian outreach is just appalling and abhorrent. You can love your people and your nation, and still detest the government in a full capacity. This sort of mentality is just shameful.
@dewetmaartens359 7 месяцев назад
You have listed all the policies that the West espouses and that Putin is against. It is now crystal clear in my mind that I'm on Russia's side, 100%. Thank you, honestly, thank you.
@FD_and_B 7 месяцев назад
This is ass
@ricardovillareal4411 7 месяцев назад
UssR collapsed not by itself but bt treasonable acts by antisocialists Russians headed by Yeltsin and other traitors including Gorbachev who let them take over State institutions such as mass media to influence and lie to the people that they would be better off in a capitalist private system. The Russian people found it was a set up for the private enrichment of new Russian oligarch class . Yeltsin, Gorbachev, Yakovlev, Chubais (father of privatization) and others became filthy rich while tge working people became filthy poor. No more free education, no more free health care, no more free housing, no more free transportation. Private banks would rule o er people's lives just as they do in AmeriKKKa a paradise for the rich and a hell for the working poor. UsSR did not collapse, it was and an overthrow, a coup de etat with U.S. help. Read the original Dulles Plan to overthrow the Soviet Union. There is a reason why the capitalist class hate socialism. They hate to see their wage slave workers live without their capitalist oppressors. How else can capitalists produce profits without their wage slave workers?
@naneri 8 месяцев назад
Soviet Union collapsed because the leaders from 1955 - 1980 were poor economists.
@slavakaminskiy7578 8 месяцев назад
@turbanheadless 8 месяцев назад
Soviet "union" collapsed because it was not a union it was an empyre lead by people much worse than the people they led in many ways, both social and work related.
@MB-xq3ol 8 месяцев назад
I enjoyed your talk again, maybe add a one line timeline of how the USSR collapsed. Another book you could write is the story of the US building the USSR by shipping over 1500 factories and machinery from the US and our men to assemble on site in USSR. Also they were sent on liberty ships and then they moved all of them again to the Urals right before Hitler attacked them. With your contacts you could show where they were and where they went and what factories are left from that but there is a huge tank factory in the Urals, maybe some pictures because there is little or no info on that. If it wasn't for those factories the war world war 2 and the cold war might not have turned out quite different.
@whazzat8015 6 месяцев назад
Um the first Liberty ship was launched , SS Ocean Vanguard, on 16 August 1941. Built those factories so fast the clock turned backwards. Use better AI, bud.
@Ah01 8 месяцев назад
The whole economy was based on having millions of slave workers at all times, just like the Roman empire. When Stalin died and the amount of prisoners started to decline, the economy was doomed to start it`s decline too. After that it was just the matter of time: arms race, afganisthan and Tshernobyl were details in pacing up the inevitable.
@daveg9000 8 месяцев назад
### Inserted here: data records
-- begin --
Structure and theoretical powder diffraction line list of Pu4P (a DFT-relaxed cell (PBE, Alexandria); Cu Kα (weighted mean of Kα1 and Kα2)).
Lines closer than 0.1° are merged.

Top 9 peaks for 2θ from 10° to 90°, sorted by position:
| Position (°2θ) | d [Å] | I (rel.) | index |
| --- | --- | --- | --- |
| 28.7 | 3.114 | 100 | 1 1 1 |
| 33.2 | 2.697 | 59 | 2 0 0 |
| 47.7 | 1.907 | 44 | 2 2 0 |
| 56.6 | 1.626 | 47 | 3 1 1 |
| 59.4 | 1.557 | 15 | 2 2 2 |
| 69.7 | 1.348 | 7 | 4 0 0 |
| 77.1 | 1.237 | 20 | 3 3 1 |
| 79.5 | 1.206 | 21 | 4 2 0 |
| 88.9 | 1.101 | 16 | 4 2 2 |

```
Pu4P
1.0
5.394 0.000 0.000
0.000 5.394 0.000
0.000 0.000 5.394
Pu P
4 1
Direct
0.000 0.000 0.000 Pu
0.000 0.500 0.500 Pu
0.500 0.000 0.500 Pu
0.500 0.500 0.000 Pu
0.500 0.500 0.500 P
```

* * * * *

Record 1
# DyTh2TaC4
Theoretical powder diffraction line list, Cu Kα (weighted mean of Kα1 and Kα2). Input: a cell relaxed with PBE.

Crystal structure
```
16
Lattice="-3.5271 3.5911 5.0560 3.5271 -3.5911 5.0560 3.5271 3.5911 -5.0560" Properties=species:S:1:pos:R:3 pbc="T T T"
Dy 0.0000 0.0000 0.0000
Dy 0.0000 3.5911 0.0000
Th 3.5271 0.0000 0.0000
Th -1.7635 1.7956 2.5280
Th 0.0000 0.0000 5.0560
Th 1.7635 1.7956 2.5280
Ta 1.7635 1.7956 -2.5280
Ta 1.7635 -1.7956 2.5280
C 3.5271 3.3847 -2.5512
C 3.5271 -0.2065 2.5512
C 1.7619 1.7956 -0.2100
C 1.7652 -1.7956 4.8461
C 1.7619 5.3867 0.2100
C 1.7652 1.7956 5.2660
C 0.0000 3.7976 2.5048
C 0.0000 0.2065 7.6073
```

Largest 10 diffraction maxima, in order of rising 2θ, 2θ from 5° to 70°:
two_theta  Rel. int.
30.53  100
30.91  97
35.51  42
35.68  82
50.85  15
51.22  59
60.71  46
60.92  15
61.37  29
63.56  15

***

Record 2
# V2Os5Ru4
Theoretical powder diffraction line list, Cu Kα (weighted mean of Kα1 and Kα2). Input: a cell relaxed with PBE.

Crystal structure
```
11
Lattice="3.8128 0.0000 0.0000 0.0041 6.0815 0.0000 1.9010 1.8651 6.6795" Properties=species:S:1:pos:R:3 pbc="T T T"
V 0.9513 3.3199 2.1091
V 4.7666 4.6267 4.5704
Os 0.9505 0.9326 3.3398
Os 2.8560 3.9812 6.3655
Os 2.8530 6.3991 5.1813
Os 2.8649 1.5475 1.4982
Os 2.8619 3.9655 0.3140
Ru 0.9539 5.7834 0.9312
Ru 2.8568 2.7622 3.9420
Ru 2.8611 5.1844 2.7376
Ru 4.7640 2.1633 5.7484
```

Largest 10 diffraction maxima, in order of rising 2θ, 2θ from 5° to 70°:
two_theta  Rel. int.
17.24  18
30.87  10
40.72  100
40.83  99
47.18  33
47.43  33
47.70  32
68.97  10
69.33  31
69.54  20

***

Record 3
# LiNd2ErS5
Theoretical powder diffraction line list, Cu Kα (weighted mean of Kα1 and Kα2). Input: a cell relaxed with PBE.

Crystal structure
```
18
Lattice="1.9875 -8.2361 0.0000 1.9875 8.2361 0.0000 0.0000 0.0000 11.8925" Properties=species:S:1:pos:R:3 pbc="T T T"
Li 1.9875 7.9945 5.9463
Li 1.9875 -7.9945 0.0000
Nd 1.9875 2.0576 3.7605
Nd 1.9875 1.7772 8.3741
Nd 1.9875 -1.7772 2.4279
Nd 1.9875 -2.0576 9.7068
Er 1.9875 3.2566 0.2548
Er 1.9875 -3.2566 6.2011
S 1.9875 8.2309 3.5964
S 1.9875 -8.2309 9.5427
S 1.9875 5.9657 0.2052
S 1.9875 5.0642 4.3424
S 1.9875 4.7165 8.0641
S 1.9875 0.7858 1.0501
-- stop --
### The piece goes on
I learned many years ago that Russia/The Soviet Union has been a mess throughout history. The "former Soviet Republics" despise Russia and Putin. It's too big, too many ethnicities, they don't make anything that anybody needs or wants, it's an autocratic-mafia run state by a select minority of inner-circle men, there's no freedom of speech, no freedom of the press, no freedom of expression, the corruption is massive, the divorce rate is the highest in the world, the alcoholism is out of control, etc ... But, ignorant, uninformed Americans will elect a candidate who desperately wishes he was Putin. They don't know history. If you explained the Cold War to them they wouldn't get it.
@BruceMullen-iv8hx 8 месяцев назад
The USSR collapsed in 1981 after the Americans had supported the so called Russian Revolution and USSR since at their creation with hundreds of western companies who build the USSR. When the West could no longer afford to support the USSR, it collapsed. Read Antony Sutton who has written six books on the hundreds of companies that secretly did business with the USSR for seventy years. The so called cold war was a farce.
@patrickdonohue530 8 месяцев назад
In March of 1991, at a reception in Moscow, Ian Shapiro, Sterling Professor of Political Science at Yale, spoke with Professor Vadim Zagladin, first deputy director international department of the Soviet Communist Party's Central Committee & asked, “When did you (the ruling elite) conclude that the Soviet Union was unsustainable? Zagladin replied, “1978”. Did you ever meet and/or communicate with Zagladin.
@-tarificpromo-7196 8 месяцев назад
Beijing doesn’t need your opinions, and brics nations is unison.
@nunyanunya4147 8 месяцев назад
DID it collapse or did it just change its name to avoid lawsuits?
@dpelpal 13 дней назад
It turned into the biggest joke army on the planet😂
@brentbaker9125 8 месяцев назад
Gorbachev did great work going by his heart!
@brentbaker9125 8 месяцев назад
Plain, and simple President Reagan brought down the Soviet Union!